HomeMy WebLinkAboutThe Goderich Signal-Star, 1970-01-01, Page 1kg. -.-_,„
'.11TOW Oi. • th'i-nOw badge Consti:ne40.4 otthe $27t000 - . The bridge 4* %WI of A $1
'tliannitig‘ the lland-Itiver at,77-p1;0,10t ii'being,*han. dieckby, ',;.041100-.icntd and br4100,:proiebt
4, yienminer. has topped for the county Coutityr,Angirieerffiefirdifeltnent, that All 4opIico, the.' exiotirig, .
Winter, To011tils now v101;4- Of .- under County Enginee,r-:4104 facilities,. frorn ' the... IienniTer„,'•
the Tib • strict -Om of; the sbrldqa ; filltnell:a.t4 IS' the largest bridge school house to -01glOay S. '
. tonlphiNd. • " • ' -ever,built ;ti,y the department. ' The 'bridge is 506 feet ' di
. 4 is 'ode, up' ot sli span--
p-PSatXtessegd:Clio piers:'dcre:Ijoe .i.i 'sb:aatrilet ?
early. in 4969 witiVeOffer dams .,',,
'erected ,to bold ,back the: 'river-,
„flOW ivh1W.• 'tli.e"suppOrt-l3t,'
were -.Tler beams •IV,.'arC.. 'e4-. b
, .
ou adTthyl w i le t altProvincialfofseophv,4e- r yr Governmentestxblbeitaxpayer
tyiI,.i, . : startW4rp,nio-ivia;l#L 7Athffeto- :rpis:sses,,m1sumis:etnetr,4e:ilud4ttat4;°;":etir?erse'llter;.bog'i j:e41:9:4"nin.Pdadet:r. :cs°00.bhocs6a1:ttop.,
--Ontario,,:- prOperty reassessment Dare'ir-- - 1Vielteeught. , whQse, ;Tmhorieeir)othwes virg;:higroe;ttehre 401:ddering: ,
fo the bridge -as -thefflatten ou
A . . . • ii, piassessmentnrcoot1iertpfirtiinconsistent
tear in: atio. ir forgi ::ffiwo., t. ., , t. ay inadequate,li the s datan.,t: i,Tc. i umi:: z., :inventorymand . preparatory , ,os3,:: : i)o.f,. si. . :91:t. 7n0; e, : n':. I raj.if: suchuk4ini;.:47,_i. sn, necessaryd:e 4:: ih,n Ltrrd hg bridge
gathered 'by. -different' metliOds, 'Collection, record conversion effort as well as providing easier
, - Pailthr:PPreitYPMe4te'vali:e:S:intils7t1-14•1131P'rarc)et;i:e*Sci°711t: ifvZAe nassessiny* 19P7inrligrn- ta' tiiii. 11-'t'I.11144altrilralte.a'cleyt. ' :9prulit;;;;:nr Zeaai;qfa::::::::::.s'hltarp:1;
.7-PropeAT -taxition,..* Mill rates,
- ''aarte-17,--a-kt,. v4..4.1;1.,°_,-....,„. . -'---1 .--. department is
i' s province wide '
'governments, are based ution ..-
-.-• which--.-7are------set „ by local 1,Wough said. _ , .,.
value. The -government intends been started by a municipality - r, ,r. north ,,, ,,,,‘ ,,..,... ,,,,,,,
to do this by 1976. .. •,0,r county will be continued. and 7„„ext"'Pr,i'r11•"sa•i7,t-P•hiWs, Pu-eelukr '
occur '' - ' -
. , The goyernment'A ...obiectirs., asse§sment-;..explairied- ' that tie.
• 2, ' - To achieve equity -in i' es,O1:::ettiteerw,dis-7sb:: wilh, ppanpossible,iotviz ti , n. spend
1 .vi' .nar.a.-iti::. i6set e'vf: ae„rini :1 t ha effortreea natural:aisrtab. 9, .. tsii ibilm.ce:inbdd'e'w:;ut:hiToe' ..:::
1.- - TO achiste uniforinitY' hr.- teasseSsmmit at market value Will :_4:!±:..3:191-1.::::drase:h:a.collne:Pruet4-Inctioit:'-
. 0,.... , - - . latest valuatiorteelmiqUes." . -- . ._._ .
ponsi e , Or .. ... , ... .. • . - ,.
. ..
V° I_Sr:!Tdgt.:tw II tew i,, en no ial le. tEritt: l•inge x area i recommence'nedifi 11°t 7 mot: , , :ii,j11.6s,.'
.• . , . .
What does alit' 'mean to the ,,- Mr. McKeough- said that one,
In its AsiMplest form, Division will absorb- close to
province' taxpayers? -." . Jan. ". 2 ---the -- new _AssessrneUt• -;
reassessment at market value 2,000 as,seSsors and aSsessment .-b . at, GDC
- means • some - property - -owners- staff- , now - ,•working 7 --,for
:will find; that their tax 'bills will municipalities and counties,, , • - - , ... - •
. • .
-,.• ,,,. 4-• • •••:-•
, - increase, some will decrease, and . Generally, the de - Canada's_ _ Harlem Diplomats
are - two: mdentical. 'residential• • headed ' by ,,t. •an.:, assessment -
department is
- the. Harlem Diplomats, Often -
sow, • .willt-- remain unchanged. • well prepared for the assessment. basketball team. is- expected, to •
-Olds ,is apart from any general .. changeover, - -, .. . ' - •-• playzjto -a,-fi_dit..h9use ,..W.hen_it
increase in the mill rate).: - . • The province has been divided eets.:the ' senior "Vikings --at • c, _ -
For- '. example, suppose 'tl?,-eice into seven assessment *east each ,
GDCI on 'Saturday, Januaryl_th....---- -
• . • . .-.. - 4,
•propertiesArra municipality.";'9directly,. ..
E t . - 'called Canada's. 'team, is very,
- „Poi uctiOn of the new_Bentnillerlifidgellas stopped for the winter, mOnths now
......, -work will recommence in the spring. The bridge has been corripleted as far as
e,'4s14,.ttry,ctiire and only the decking and handrails will need fitting t� complete
the projeiVE'stirriated cost .is $275;000' of which_$125,00,0-has been perit,,,tOs date.
• The work is carried out by the Huron, County Rngineering department under
County Engineer Jim b-rittiell.
county crew. -.staff photo.
The bildge is the largest ever constructed by the
• • , = - • , • -„, is "aise'sSed-- at $5,000 and the • Each assessment , area is much like the failed, • Harlem-
-. - • _
'11,41 -ITY2 otlier is as,sessed-at-$16,00: The -dlAded,into four or‘five-regiont
second - with 'the- higher
• . - -assessment - would liay",more -arid „g7graphic size. Thirty-two
• • Goni,se. Jr., already- listectai-the---;-•,-
mosb . pOpular ---hasliefriall player
411110 aC-COrding to_property density Globettotters.2.-The team --has
re,gickiraj .,. assessment. -
'1 -s -taxes. than4,,,the Amt. :PIA both inTCanada and. ret.ognizeitas the --,.--,..,----
L-- • properties are identical, - and _commissioners -were liPfainted best balI handler to come along •
— .
, . _ . • - E. worth $25,00 eh at -mrket
# Inserted here: materials data
GGA-PBE TaZn2InRu, optimized geometry; ΔE_f = 596 meV/atom
1.0
-0.529 -4.374 1.888
4.475 -1.080 -1.247
1.571 1.633 4.224
Zn Ru In Ta
2 1 1 1
Cartesian
0.786 0.817 2.112 Zn
-0.265 -2.187 0.944 Zn
0.000 0.000 0.000 Ru
2.758 -1.910 2.433 In
2.237 -0.540 -0.623 Ta


GGA-PBE BeRhAu2, optimized geometry; ΔE_f = -155 meV/atom
1.0
-1.505 2.269 -1.448
-2.536 -1.430 0.394
-2.140 2.363 5.926
Be Au Rh
1 2 1
Cartesian
-1.917 0.910 3.418 Be
-2.277 2.202 5.817 Au
-2.424 1.210 1.130 Au
-4.042 1.708 3.593 Rh


GGA-PBE La2CoCuH, optimized geometry; E above lowest polymorph = 51 meV per atom
1.0
5.159 0.000 0.000
0.000 5.159 0.000
0.000 0.000 3.529
Co La H Cu
1 2 1 1
Cartesian
0.000 0.000 1.764 Co
2.580 0.000 0.000 La
0.000 2.580 0.000 La
0.000 0.000 0.000 H
2.580 2.580 1.764 Cu


GGA-PBE PaPbO2, optimized geometry; formation energy without anion corrections = -2.293 eV per atom
1.0
-2.038 -1.779 -2.473
1.518 -2.590 -2.104
-1.903 -6.686 3.662
O Pa Pb
2 1 1
Cartesian
-1.192 -6.398 -2.564 O
-1.232 -4.657 1.649 O
-1.212 -5.528 -0.458 Pa
0.000 0.000 0.000 Pb


Going through the records in order, we get energy values of -23.43 -18.25 -25.35 -32.29 eV/f.u..
Going through the records in order, we get DOS(E_F) values of 0.701 0.423 0.684 1.113 states/eV per atom.

----------

Record 1
Density functional theory data (PBE) for a geometry-optimized Sm3Ag7Ge4 structure.

density	8.6	g/cm3
total magnetic moment	0.000	μB per formula unit
calculated formation energy	-0.3761	eV per atom
DOS at the Fermi energy	0.396	states/eV per atom

Cell: 4.4288 8.4432 8.6098 Å, 70.32 75.10 74.80°
Sites, in units of the cell vectors:
Ge  0.6578  0.4520  0.2324
Ge  0.1213  0.0929  0.6645
Ge  0.8787  0.9071  0.3355
Ge  0.3422  0.5480  0.7676
Ag  0.0000  0.0000  0.0000
Ag  0.6721  0.1721  0.4837
Ag  0.3279  0.8279  0.5163
Ag  0.4900  0.2081  0.8119
Ag  0.1552  0.6109  0.0787
Ag  0.8448  0.3891  0.9213
Ag  0.5100  0.7919  0.1881
Sm  0.3023  0.1915  0.2039
Sm  0.0000  0.5000  0.5000
Sm  0.6977  0.8085  0.7961



Record 2
Density functional theory data (PBE) for a geometry-optimized SmAg4Ge2 structure.

density	8.7	g/cm3
total magnetic moment	0.000	μB per formula unit
calculated formation energy	-0.2527	eV per atom
DOS at the Fermi energy	0.293	states/eV per atom

Cell: 4.1728 4.2047 8.1589 Å, 104.93 90.00 90.00°
Sites, in units of the cell vectors:
Ag  0.0000  0.6842  0.3683
Ag  0.5000  0.8179  0.6357
Ag  0.0000  0.3158  0.6317
Ag  0.5000  0.1821  0.3643
Ge  0.5000  0.5774  0.1547
Ge  0.5000  0.4226  0.8453
Sm  0.0000  0.0000  0.0000



Record 3
Density functional theory data (PBE) for a geometry-optimized Sm3AgGe structure.

density	7.6	g/cm3
total magnetic moment	0.000	μB per formula unit
calculated formation energy	-0.3787	eV per atom
DOS at the Fermi energy	0.960	states/eV per atom

Cell: 4.2548 7.3330 9.2059 Å, 89.41 90.22 107.10°
Sites, in units of the cell vectors:
Ge  0.4155  0.8625  0.2774
Ge  0.6284  0.2914  0.1443
Sm  0.6117  0.2652  0.8204
Sm  0.2646  0.5630  0.0354
a . • , . in -October, •• . '
----,--• . - S I N GL E foll-----Ikl-:7-'171 ;317;,. -: 1
= 'Ed - ---- - ' " k‘ ,. . • Special-':, .tetiplion-e-
th in a decade, -
. 124,1 -EAR THORSDATJANUARY 1,-1,970 oa
$1..- arrangements are being rnacleio -2 .- tied t
TiclietS- for, ' the • giune;
- ,, - g4,„• :.• ..,---- — . = • . vious y, en, . e secon , . c,_
ty ownersan
, In. each - expet , .o go•vifor . about Amet
= . _ 4 . _ ..
Eill illithallifillffinginilliilliffinliniffilillffil0111111109191111111111i111111111111111iMiffilliffillillili'll'IMIRMPOR110111111117111011,1111111111011Mili111111111111111;011011MMOMMIlliirittiffili -IIIIIMPIIIIIIMIRIIIIIIIIIIIIIIIIIIIIMMIIIIIIIIIIIIIII I --PrOPer_VALuIassessment,region Can call„their d one --,half hours, arc
ditort , Set r-etirement.;
, iiiifri- • ' '-' -----1 t-taklY i*Vrig-r.itore, .,
that proper
. ••
or irelc ers 'InOr
• ..„: . lintr-Lirofierties'dre,,,..assessed at regional1-11117 twits than the first proper*. If .-,
-diserindriatiorn; • - insect:T-2_ •on i : • •The.aSsessment ofpce for the- • -- •Garne time_ is sehediffed for 8
ket Nall,,,reig;Adf•Aype "of ' tO paY,1Ong,,distance,ehargeS'.
offices without having
...... . . , . , ,
obtainable from QDCI students
and also will be available at the
door. - • - • "
., • •
in separate . sr •-•.$ystem--:
• .
_ . ...:....
.diffrpo tiines„ would disappear. , Namer Street,: G. ., odench. • • the. main gkin. 7_ " ,. _ ,,,- , • •
different asiessmenrinethods at western. region is located at 57 p.m. on Saturday, Jghuary 10; in'
• , --• . •
-1-, -- , • , . ..
-Separate School teachers ineSt-Both . " I. • t1 ...._ , .•
A strange accident took.-plade• The 1960s re -gone and with them years of pragress in-lnany
. .
.December 17 on Highway 21 • fields; 'advances in medicine and science, ,,hriprovements in
. -
_Jus_......,po, .....9 c. •ad18 construet-km--andactufing - .4 ,--- - - - •
' when, a, -Car driven by Victor The 60s will probably -be -remembered for science; space Shots _
Arthur Hood Was in collision-; . and sex; promerity and poverty ; marvels ariernistakes. .
-'1 with some Canada geese. - . . Tile pfoierns that have _ipeen with Lit doting the 60s 'will, '
- '
Only miri,of damage to the probably stay Witi.i. us well into 'the 1 76s. Goderichhas a. few " •
- vehicle- was reported by OPP problems of its own that will, pernapE, be .solved in the decade
opiDeeceersm, .bge;d1erizichifiiid4eltiagebrayent8.,,
, ahead and Many other.problerns that will•occur or re occur unless
4 , .
east ..ef county road 15, : james_ :steps are taken now to.cyffset-them. .'.
Sallovis Jr., Seatorth, wa's • - The situation ofthe waste disposal site for the town will no
involved in a"-sTrigle car accident ._ . doubt come up again Within the near future and possibly the only
. . restiltilt-in. minor d#Mage to -his way to sblve the problem stfitably. Will be -for the townlb install „
ve Ve.,,_ ' . '' • - ' -' _an:incinerator plant -The city of ,Port Colborne has one now that
unknown vehicle struck a --has-created interest among many of Ontario's larger ce tres, and
. .
parked vehicle owned by James • , also created interests with cities out of the country: hat- the ,
...... .• . , , _ . .•
Douglas, tell, • Londesboro, - population of Port Colborne is xe do not know; it is erfainly •
resulting' iffininor damage. ,The greater •than, Goderich, • - Clinton any, Godericfi, i-low.iiship
. •
accident happenid_on Silver -St. combined, and their cos( Or waste.diSPOsal,per year, is $22,000 -
in toridesboro. „;-....__ * _ , . about the same as it will be costing Gi;detich-alorie 'dig year: It
• A two -ear - ace -Went at Cp13 might be worth' while for council, to have an eye on the future
Clinton Dece,mbei• 20, resultedTinT_. and look into the costs of such an incinerator now.
•. min& damage to Vehicle,s, owned .. The town ill continue to look for iu'tabl "industryd 'with:
vy- i e . an, .
' by.? . -Serge Joseph BrOusseau; - , ' -industry. one , plant going' ioo .the .industn'al Park this year, _others will
Adistral , Park' , and Kevin patriek • follow more readily. 'But the town e.mchuk'• Regtna n should not forget the tdutist
'. f ' a
SalcatCheWan. (.. .,.,,
. • . Regional GOvernment will come, in 'what form we .do not yet
-*le-Bauer, .RR 2, Goderich, know, .1;14Fowith it will be regional assessment This year the
liras involved in a .single -car ' •
'province has taken:civer assessment and we Will ,have some form
-cidenton.County road:10_0st
sixf Highway 21 December 20-.
, of e---i-zed asessnient fairlyoon.- • - - ' -°- ..
-,. ...
'image. 30_,,,. highlivay property .It seems -logical--then for,.,the province .c6' set areas aside for
.tesnitedr t-•-,- ' : ,,-. . purposes to livhicirtiley are best suited. Goderich is best suited to
, .
' •Tuesday;llecember23,-• ear t ' ideallyled to it and. the town cOuncil should take,
, •- '
owned. by \ Kenneth , • Ritchie, '' steps now .toisee. that We are in a position to offer the ° best
Egmondville, was struck by, an. facilities to the most people. -
_ .
known_ vehicle. The Ritchie ' „ There will be an.' increase in, tourism in the next decade that •
Car-VWfka-i4---'it,h,-,Eionceiadnity,2-04.zierlwilf,...outstrip. -any. increase in the -past 'decade. BOating-will-
lvIcKillop, Township; wed Of' continue to be a major 'recreation for tourist' and townspeople
. ., ,
County road 12; Only_mmor alike and facilities at the rna1i boat harbour should be expanded
,clittnage Was reported. - . now in readiness. Let's make a name for Otirseives before regional
, ,
, • ..
A:: ..!tingie.ear: - accident-:-. ill government tells us what)we can or can not do here.
'Highway 8 just west of
, Trailers Will continue to rise An popularity F. 4 . a - In e a n s of
• 'Clintdn
*Saturday, Decernbeal; teAultedvacation accommodation and the town needs, trailer courts badly -
in injuries to two Persons, driver if we are to attract the people vvho use them. Parks could be
Ilarold-AiterY,./OrontoAnd. his developed that wolacLoretain the natural scenery as Yell as
liasseriger, .mary Avery. 'There ' 'providing space for tii.e.accorninadatioi. Money spent nov7WOuld-
Wet ,only minor damage to the . be well spent. For every year we*Wlit there will be added costs, if .
vehicle, ,' .- '. . ' % ,
. wecan keep our capital eNxpenditurel,nwn we increase our
profits. .,. . -
A Or -driVen- bi''' Joseph. , .,t . . .
•Silcdck Clinton stiticiwa parked So . * , .t _ :pa many areas need to be looked at, and.looked at with ..a view' •
,Vellidle '• oined, by Antie; ,, on, the future, (If:this towni.,.. ,4tAis athope that the, 00.9,pes, of
,Ivitusktioti . Ill ' 2, ' 'ahltonj' the 70s will havi•the'faresighi to do somethintabpu ern.
pecenibei . 27', ' on tlayfiel-; .' - • , 1... *
.concession .Road, Godetith ',. • , . k Ilia Ina it
. ... .
, .
To*rithip " eta of "tfi slitthj, ,,, ;,,, ''-:-'--
eotletositon. Minor datnige--iclis , . ie , . 1)0ft:forget, kids! Take ,,, The 'fantasy, written.and
sufferea'hY.hoth,Vehibies:.-- 4,11. - ..o rribror'"and #44,. out ' Sunday . dirpett4' by, priAn.',Maritspn
, , . -- --,afteinoori,,,,,January 4, to see 'Witti,mosic,bir FlaInh Moxtey
Another poked vehicle, tins' --, .
. ' re at **mance of,, ,, Jr., is p..deligkt to ciii1Oreir
4,4, ....... . . , ....,
, .... .. .
••, . - • • • .
retire aLage•65 under terins of a Charles
policy set by the Thrron,Perth•
Separate . School hoard- at •Dkvis,
meeting in Stratfbrd on De' 19 "said.
Beeause-soMe-person -s--,Ontrt
instructional staff ,nov,v are' over
65, the ---policy will - take - effect.
,gradually over three years ---- ageN-
for, retirement irk 197y4lLbe.
68, in 1971 it andin
1972 and thereafter it will "be
In • other 'business, the board
MacNaughton and
...-Nlinister William G.
.;;56'claii;-"atitend he
Winriers in' the Chnstmas
agreed ; to a plan ,toRrovide home- lighting contest were '
fluoride- dentaL treatment t R aYmO'nd Young,. 1 a 4
Huron County students e Such -a- Palmerston, most religious
plan is already in operation in -theme; Donald Riehl, 96
Perth. . •• . - Gloucester Terrace, best all •._
John Vintar, superintendent ' round; and H. A. Appel, 232
'of iducatio, said the official: _Warren,lmoSt original. •
'opening of the addition to St. These people will -receive
Mary's Separate School in electric blankets donated by the .
-Goderich is .set .for--:Pebruarsr...• PUC.
ers ode-d-dh--BulitliTetentre; Mrs:
Merchants'; 'Win-a-011ie 'A. VairDiepen, itit-a;Goderichi'
promotion and klibirrizes'are as $26 "gift , certificate, .iilackstone
follows: Helen O. tanaway, 288. Furniture; Lloyd Brindley,
- Huron. -dinner.-fdr-four,---,3, Goderieh,- -50- gallons -gas,
Club Grill, ShEan Anstay, 180 Baird Motors; Yirgr:TIOV Mete, an, 0'
Quebec Street, .,two $10, gift 129 llityfield Road, $29 'gift
certificates, Ross Slibe Shop; certificate, Fineher's, Smoke.
Mrs. G. Caldwell, ,:58 Market- Gift- Norirnin Wightmaii,
• Street, $10.,flOw0attiatigeMentriz7"71?, 2, Auburn, $20 attache`easei-
Flower" Fashiotrs; IVIrs. Betty Anderson's' -Book- Store; Mrs.
Reid, .RR 4, Goderich, $25- Cliff Eppe, one:pair:A' 'L.,
bitroi dry.61eaning,131tiewater Mukluks, Squire Gifts
Cleaners; M. Filinigan,-20 Alen, .
Avenue, 5 gift certiflcate, 0011
MacRae Jeweller; Agnes rWaleh',„..._
take a copy of this news story..
1.'7 Wateribo - Street, '$20: mgift stor
and suitable identification to the Ninety two skaters entered the ,arinuat Western •Ontario_lot,erolub Eigure___Skatio
resenti riZes as soon annual' competifon 1.4Id in Clinton Sunday, up from 26 last year. Winners were, left to ri
_ •
•t- Garland Chil ie es p ng p
row: Bonnie IVIcOhee, Goderich; Debbie Ferguson, Walkerton; Giien Kahle and Patty HarWood,
both , of Goderich. Front row: Mary McFadden and sister ShirleY• both of "Goderich: %rho.
oltecompetition attracted entriesfrom 34 clubs, - staff photo.
Raglan Street, $25 worth of dry
cleaning, _IG6derich French Dry
Cleaners; - Mrs. A. 'label, 165:'
Picton Street West, --$20. gift The concern three
i • ,
certificate, Schaefers Ladies Goofed& youths .may have
Wear; Mrs. Cathern prevehted a oirliondA disaster at
211 Bast Street, $125.', gift the,tedfnui lido last Thurs., ay.
Lassaline, 204 Stranglkrult_ „.$25 Ninety-twb • skaters twirl pt Gwen Kahle and Patty, Harwood. Shirley and Mary McFadden
' Hobert taMarSit were " driving
Mrs: Corti Oke, 69 iitannlit when they nOtiCed what they - L" • d Goderrelt. plate wenttoOoderich sitaters A
--certificate, Fashion ShOPP4; Paul uy Doll Ralph 'Gilles and .
Irwlfl, ER 7, tit
Decemberstruck :27 on ate
Street tueknow.:Tho driver' .
the.other toi.„ was :Sim*
Ittti 40
Ve* 'The. mishap;tesiitted
blot darn 'both
auditorium rit•li
Th tline, is'
Aditliton 'Imo thanks t
the Goderich Lionts Cltsb4,1
co«,operatfort * 'With AO.
Goderich- Little thoatto
12. It is Completely
ent'ertaintruint for;
,ki‘bliikieen 13 and 100 and
adults are also welcome at the
shoWing, although the
performance( ...in mainly for
• n
. gift certificate, Lodge TAW -re'? ," down South Street abont6 Nit Western Ontario clubs 800ild skaters Becky WO,nf to'. fat the Gaderich chih, Second
Road Wot man
* fl one Of • annual )rifer -club competition at at.--.CraWfOrsl', and ' tiOnnie NieGhee. Fran • JohnstOn and .10rielie.
there Carol Chapinari. andF4MiCe McConnell.
• for Third plate Went t0'. the::
lvv° $1°-"gift:titi46a,te:,"0SPO,t1IV CliSSer inspection, -roveided, CoMpetifors froth
insfer•thought vi4s- fa4theel riedford . Clinton Sunday. 3t,,avmeconnsen. *oh with place
I 26 dntrants.., the ooderiefitatipt, , ° NO.
'Clinton club, WOri by rift nay
the arid JoYeCilexwag,.
h* was.
McArthur _ Reilly;, R. the windows 0
. Duke 1:4843ritannia It4;ad. test Hotel. • „ 'were on y
Shoes Mrs. Frank HaWlana478 Z14
wat a candle in a centretneee oti junior free Ad! event 'with The -A mown trop y
• Stratford. St "Mhryit AttIttheil ere. We . eia es
.Keays Street loll change, filter, one of the tables:told Seaf0rtho AdOstai ,Patici Clinton, , , , .1volt - - - hots
• dotterich • te6eavatiar rtOn. !list and Second places "presented h,
'0,•• 'attneig -41.0.,-.4,414,r0toVit4t44,f.Aihtfto
et,ov,4*ofosii;447.'.1,iSlt •
Albert) The' three youths rushed into' 13Iyth 'VC7ingharn skated in IVIeGhoo Ina unice, *Coate% senior fro Ong. t;
hotel tour olastosjunior ddice tint.„ '1%10 0,14:0#'SVati "*.•'60 Othy Prate W VrOrt , DebOie
1 b Ferguson for Walkerton,
ttittdittes itobinseti. tom, -gitibh6d the tablecloth Tie juiller dance • tOrApetitioni.c. presented to,Nlies McGhee; , • *StratMid aii4 third' Part4
Coverings; DaVid *arid sed flames; in ...the 'with' g5i etompoting 'seniof'danco',..everiti, with' Chapman:for UuVLJUUd
electric drill, Gower's Industrial the hotelatittealled for the
end- 'tilideri Centro Gordon kiwtier) P.tok Noy. ldrt dory junior .ftee altati* onior - nee Cartlidge for the Stratford o
1106tidho .$25 and the boys JAtont-to the dining pairs and senior trof skating. ! The 4.1147 13.etth ttolAY , was ;place * by WO; for
pau Won for-thr Stratford club by ye 'Pahl c(?10Peting, was *6h (Continued° page
° •